2nd Cycle Test, Sus260, Anavar and Win


New member
This is my second cycle, started today :)


210 lbs
Age 39
BF 18%

1st Cycle:

Weeks 1-6: Sus 250 pw
Weeks 7-12 Sus 250 2x pw, Win 20mgs ed


Gained 22 lbs
Kicked in in week 2 and really catapulted in week 5, slowed down towards the end but maintained itself. Loved the cycle :) Very little water retention, waste dropped 5 cms.

PCT: A little nolvadex, I wasn't as disciplined as I should have been. Felt a little down after 3 weeks but only for a day or two. Have dropped 10lbs since but still have good shape. Have not trained much since as have been travelling with work, next time will be different.

My situation now:

I have been stocking up and have Anavar, Win, Primo (injection), Tren (will have in 2 weeks), Win, Test En, Sus 250, Proviron, Deca (later this week) Nolvadex, Aromisan, Testocaps, Arimidex, Clomid.

Second cycle:

[Inserted here: quantum chemistry results]
........
No. 1
{"formula": "C9H14O", "method": "the ωB97M-V functional and the def2-TZVPD basis", "species": ["C", "C", "C", "C", "C", "O", "C", "C", "H", "H", "H", "H", "H", "H", "H", "H", "C", "C", "H", "H", "H", "H", "H", "H"], "positions_angstrom": [[0.4436, 1.7718, 0.4913], [-0.4673, 0.7015, 0.9764], [-1.4216, 0.1378, 0.1231], [-2.4387, -0.6834, 0.5709], [-2.4518, -0.9808, 1.9742], [-3.3562, -1.7542, 2.5832], [-1.5245, -0.4961, 2.8914], [-0.6048, 0.4102, 2.3392], [-0.0329, 2.1998, -0.3389], [1.3544, 1.2295, 0.1327], [0.6630, 2.5444, 1.2729], [-1.2981, 0.1432, -0.8994], [-3.2661, -1.2200, 0.0688], [-3.9741, -1.9798, 1.7897], [-1.4464, -0.7742, 3.9400], [0.1872, 0.8824, 2.9047], [2.7126, -0.9638, -2.3008], [2.2491, 0.3704, -2.8614], [3.6488, -1.0975, -2.7016], [2.7608, -0.9129, -1.2584], [2.0896, -1.7952, -2.5695], [1.6918, 0.2461, -3.8042], [1.4809, 0.7915, -2.4223], [3.0009, 1.2293, -2.9018]], "forces_ev_per_angstrom": [[1.577, -1.140, 0.893], [-2.304, -0.142, 1.093], [-0.136, -1.042, 1.130], [-0.407, -1.029, 3.167], [1.204, 0.969, 0.515], [-3.162, -1.528, -3.119], [1.477, 1.491, -1.715], [0.937, -0.216, -0.248], [-0.324, 1.009, -1.197], [-0.203, 1.012, 0.275], [-0.020, -0.797, -0.777], [0.215, 0.812, -2.314], [0.876, 0.695, -0.633], [0.969, -0.006, 2.508], [-0.487, -0.020, -0.325], [-0.192, -0.073, 0.736], [-1.444, 1.350, -0.591], [2.452, -0.415, -2.851], [2.347, -0.871, -0.667], [0.281, -0.072, 1.733], [-0.445, -0.273, -0.245], [1.183, -0.078, -0.577], [-3.805, 1.915, 3.491], [-0.589, -1.551, -0.280]], "max_force_ha_per_bohr": 0.10710, "gap_ev": 8.9625, "lumo_ev": 0.824, "homo_energy_ha": -0.2991, "smiles": "Cc1ccc(O)cc1.CC", "e_tot_ha": -426.50665}

No. 2
........

Weeks 1-12: Test En 250 and Sus 250, together once pw
Weeks 7-12: Anavar 50mgs pd, win 20mgs pd

1. PCT: Please can you advise me
2. Have I got the mix right, I started today so can change mix
3. Would like to kick start, any thoughts?
4. Diet: Advise on the diet and frequency of meals would be good and also what to avoid, including alcohol.
5. Would like advise from those with experience!
6. What should I do with the primo? Would like to use somehow?
7. I smoke, what impact does this have?


1. Would like a kick start
2. Would like to gain strength, bulk up and harden up

Second cycle:

Weeks 1-12: Test En 250 and Sus 250, together once pw
Weeks 7-12: Ana Anavar (var) 50mgs pd, win 20mgs pd

i'll be blunt. i dont like it.
what is it you are trying to do bulk or cut? with what you have here you have a clashed cycle.
and why do sust with test e i mean you can do it but the sust would be much better run @ 500mg pw and the test e i dont see the point in it witht he Sustanon (sust).
can you tell me why you are doing this.
run the orals 7-12 if anything i would use the Anavar (var) to lead me into post cycle therapy (pct) because with sust the post cycle therapy (pct) starts 3 weeks after last pin. so running the Anavar (var) 10-15 and then post cycle therapy (pct) the next day makes more sence to me. next why Winstrol (winny) along witht he Anavar (var) are you wanting to try to cut at the end of this. cause if you are trying this your wasting a cycle imo.
What Cyto said. Pick 1 or the other regarding Test E or Sust and var or Winstrol (winny). No need for both. I personally LOVE Anavar (var). I have not used Winstrol (winny) tho, and do not plan on it; however, Ive had alot of buddies complain about joint pain while on and their lipids or shit.

I would say try something like this:

1-12 Test E 500mgs/week
8-14 Var 50mgs/day
2-14 Hcg 250ius 2x/week (last inj 4 days before pct)
14-18 pct